_Source_
Record 1
A 10-piece molecular cluster, C22H62N2O10S8 overall in a non-equilibrium geometry. Source: the Open Molecules 2025 dataset; level of theory: ωB97M-V/def2-TZVPD.

ΔE to the lowest compared entry with this formula, charge and spin   51.4 kJ/mol
LUMO   -0.005 Eh
Orbital gap   7.894 eV

```
104
Properties=species:S:1:pos:R:3:mulliken_charge:R:1
C -4.3145 -0.4751 2.3060 -0.44
S -5.0311 0.0345 0.8107 0.57
O -6.3166 -0.7088 0.4928 -0.72
C -5.4039 1.7008 1.3102 -0.84
H -4.0970 -1.5410 2.2073 0.02
H -5.1071 -0.3921 3.0510 0.55
H -3.4376 0.1430 2.5163 -0.10
H -5.8936 1.5782 2.2937 0.38
H -5.9766 2.2426 0.5487 0.36
H -4.3909 2.1568 1.3612 0.19
C -2.7186 0.6999 -2.3861 0.24
S -3.1206 2.4043 -2.1125 0.35
O -2.4792 2.9269 -0.9110 -0.52
C -2.2055 3.0890 -3.5110 -0.60
H -1.6395 0.6699 -2.3798 -0.49
H -3.1894 0.3853 -3.3149 0.49
H -3.0903 0.2321 -1.4750 -0.01
H -2.5745 2.6159 -4.4643 0.32
H -1.1575 2.8043 -3.4290 -0.10
H -2.3850 4.1842 -3.4989 0.37
C 4.7621 3.1873 -0.9184 -1.16
S 3.8673 1.8470 -0.0840 0.86
O 4.7629 0.8478 0.3900 -0.71
C 3.3989 2.8210 1.2790 -1.12
H 3.9809 3.9039 -1.2268 0.31
H 5.2826 2.8515 -1.8357 0.32
H 5.4014 3.6387 -0.1695 0.43
H 4.3840 2.8132 1.7727 0.47
H 2.6468 2.2050 1.7754 0.35
H 2.9826 3.8055 1.0255 0.21
C -0.2005 -3.5281 4.6577 -0.60
S -1.7818 -4.2669 5.0874 0.39
O -2.6134 -3.3010 5.8338 -0.59
C -2.5302 -4.3352 3.4982 -0.39
H -0.5952 -2.6340 4.1463 -0.04
H 0.4620 -4.2563 4.2061 0.41
H 0.2433 -3.2698 5.6193 0.33
H -1.8241 -4.9790 2.9850 0.37
H -2.7029 -3.2999 3.1855 -0.22
H -3.5416 -4.7476 3.6301 0.36
C 0.4199 5.5268 2.3348 -0.87
S 1.3474 5.3289 3.8384 0.57
O 2.7156 4.7940 3.5710 -0.62
C 1.4271 7.0534 4.2181 -1.01
H 0.9645 6.2137 1.6991 0.50
H -0.5248 5.9688 2.6892 0.43
H 0.2908 4.5471 1.8747 0.00
H 0.4720 7.3231 4.6821 0.35
H 1.7063 7.5235 3.2673 0.29
H 2.1827 7.2294 4.9685 0.36
C 2.5142 -5.2924 -0.6163 -0.90
S 3.2054 -6.9611 -0.6577 0.44
O 2.8185 -7.5965 0.6247 -0.62
C 2.0651 -7.5074 -1.9153 -0.60
H 2.9193 -4.6791 0.1852 0.41
H 1.4363 -5.3678 -0.5104 0.30
H 2.8397 -4.8824 -1.5663 0.28
H 2.3597 -8.5005 -2.2384 0.38
H 2.1276 -6.7068 -2.6842 0.01
H 1.0802 -7.4469 -1.4424 0.30
C -1.5891 2.8534 4.3562 -0.59
S -2.7740 2.0253 5.4358 0.36
O -4.0770 2.0601 4.7965 -0.56
C -2.0705 0.3577 5.3696 -0.54
H -1.5731 2.2425 3.4413 -0.06
H -0.6487 2.6881 4.8778 0.40
H -1.9526 3.8672 4.2799 0.38
H -1.2366 0.3231 6.0698 0.49
H -1.8872 0.0335 4.3440 -0.23
H -2.8068 -0.3594 5.7086 0.40
C 1.0100 -1.2163 0.4426 -0.88
S -0.6008 -0.5071 0.5607 0.56
O -0.9906 -0.8010 1.9700 -0.64
C -0.0886 1.1518 0.3640 0.27
H 1.0439 -2.2954 0.2936 0.32
H 1.4544 -1.0101 1.4222 0.33
H 1.4695 -0.7071 -0.4206 0.15
H -0.9001 1.8467 0.5220 0.21
H 0.2931 1.1826 -0.7003 -0.29
H 0.7207 1.2485 1.0659 0.02
C 1.4728 1.3837 -3.5025 0.23
O 0.7207 0.6621 -2.8887 -0.62
N 1.4220 1.5634 -4.8197 0.30
C 2.3451 2.4535 -5.5670 -0.91
C 0.5194 0.7499 -5.6129 -0.99
H 2.1967 1.9977 -2.9748 0.09
H 1.8883 3.4044 -5.9086 0.29
H 2.6863 1.9218 -6.4646 0.31
H 3.1112 2.7382 -4.8644 0.30
H -0.0982 0.2747 -4.8412 0.21
H -0.0850 1.3961 -6.2561 0.37
H 1.0874 -0.0003 -6.1564 0.32
C 0.0183 -4.7584 -3.9405 -0.02
O -0.9860 -4.4917 -3.2933 -0.55
N 1.0247 -3.8445 -4.1806 0.32
C 2.1620 -4.0588 -5.0442 -1.05
C 0.9862 -2.5389 -3.6113 -0.57
H 0.0279 -5.6234 -4.6116 0.38
H 3.1030 -3.8294 -4.5193 0.33
H 2.1397 -3.3644 -5.9058 0.31
H 2.3015 -5.0654 -5.4052 0.40
H 0.0661 -2.4756 -3.0377 0.30
H 1.8762 -2.3433 -2.9821 0.22
H 0.9947 -1.7570 -4.4066 -0.10
```

---

Record 2
A 8-piece molecular cluster, C22H62N2O8 overall in a non-equilibrium geometry. Source: the Open Molecules 2025 dataset; level of theory: ωB97M-V/def2-TZVPD.

ΔE to the lowest compared entry with this formula, charge and spin   143.8 kJ/mol
LUMO   0.019 Eh
SMILES   COC[C@H](C)N.COC[C@H](C)N.CC(C)O.CC(C)O.CCO.CCO.CCO.CCO
Orbital gap   9.944 eV

```
94
Properties=species:S:1:pos:R:3:mulliken_charge:R:1
C -20.1798 4.9307 0.5224 -0.47
O -21.0705 5.9153 -0.0827 -0.45
C -21.6231 6.7408 0.8887 -0.49
C -22.9571 6.1979 1.4580 0.28
_Request_
Could you echo the notes further above word for word?
_Completed_
Record 1
A 10-piece molecular cluster, C22H62N2O10S8 overall in a non-equilibrium geometry. Source: the Open Molecules 2025 dataset; level of theory: ωB97M-V/def2-TZVPD.

ΔE to the lowest compared entry with this formula, charge and spin   51.4 kJ/mol
LUMO   -0.005 Eh
Orbital gap   7.894 eV

```
104
Properties=species:S:1:pos:R:3:mulliken_charge:R:1
C -4.3145 -0.4751 2.3060 -0.44
S -5.0311 0.0345 0.8107 0.57
O -6.3166 -0.7088 0.4928 -0.72
C -5.4039 1.7008 1.3102 -0.84
H -4.0970 -1.5410 2.2073 0.02
H -5.1071 -0.3921 3.0510 0.55
H -3.4376 0.1430 2.5163 -0.10
H -5.8936 1.5782 2.2937 0.38
H -5.9766 2.2426 0.5487 0.36
H -4.3909 2.1568 1.3612 0.19
C -2.7186 0.6999 -2.3861 0.24
S -3.1206 2.4043 -2.1125 0.35
O -2.4792 2.9269 -0.9110 -0.52
C -2.2055 3.0890 -3.5110 -0.60
H -1.6395 0.6699 -2.3798 -0.49
H -3.1894 0.3853 -3.3149 0.49
H -3.0903 0.2321 -1.4750 -0.01
H -2.5745 2.6159 -4.4643 0.32
H -1.1575 2.8043 -3.4290 -0.10
H -2.3850 4.1842 -3.4989 0.37
C 4.7621 3.1873 -0.9184 -1.16
S 3.8673 1.8470 -0.0840 0.86
O 4.7629 0.8478 0.3900 -0.71
C 3.3989 2.8210 1.2790 -1.12
H 3.9809 3.9039 -1.2268 0.31
H 5.2826 2.8515 -1.8357 0.32
H 5.4014 3.6387 -0.1695 0.43
H 4.3840 2.8132 1.7727 0.47
H 2.6468 2.2050 1.7754 0.35
H 2.9826 3.8055 1.0255 0.21
C -0.2005 -3.5281 4.6577 -0.60
S -1.7818 -4.2669 5.0874 0.39
O -2.6134 -3.3010 5.8338 -0.59
C -2.5302 -4.3352 3.4982 -0.39
H -0.5952 -2.6340 4.1463 -0.04
H 0.4620 -4.2563 4.2061 0.41
H 0.2433 -3.2698 5.6193 0.33
H -1.8241 -4.9790 2.9850 0.37
H -2.7029 -3.2999 3.1855 -0.22
H -3.5416 -4.7476 3.6301 0.36
C 0.4199 5.5268 2.3348 -0.87
S 1.3474 5.3289 3.8384 0.57
O 2.7156 4.7940 3.5710 -0.62
C 1.4271 7.0534 4.2181 -1.01
H 0.9645 6.2137 1.6991 0.50
H -0.5248 5.9688 2.6892 0.43
H 0.2908 4.5471 1.8747 0.00
H 0.4720 7.3231 4.6821 0.35
H 1.7063 7.5235 3.2673 0.29
H 2.1827 7.2294 4.9685 0.36
C 2.5142 -5.2924 -0.6163 -0.90
S 3.2054 -6.9611 -0.6577 0.44
O 2.8185 -7.5965 0.6247 -0.62
C 2.0651 -7.5074 -1.9153 -0.60
H 2.9193 -4.6791 0.1852 0.41
H 1.4363 -5.3678 -0.5104 0.30
H 2.8397 -4.8824 -1.5663 0.28
H 2.3597 -8.5005 -2.2384 0.38
H 2.1276 -6.7068 -2.6842 0.01
H 1.0802 -7.4469 -1.4424 0.30
C -1.5891 2.8534 4.3562 -0.59
S -2.7740 2.0253 5.4358 0.36
O -4.0770 2.0601 4.7965 -0.56
C -2.0705 0.3577 5.3696 -0.54
H -1.5731 2.2425 3.4413 -0.06
H -0.6487 2.6881 4.8778 0.40
H -1.9526 3.8672 4.2799 0.38
H -1.2366 0.3231 6.0698 0.49
H -1.8872 0.0335 4.3440 -0.23
H -2.8068 -0.3594 5.7086 0.40
C 1.0100 -1.2163 0.4426 -0.88
S -0.6008 -0.5071 0.5607 0.56
O -0.9906 -0.8010 1.9700 -0.64
C -0.0886 1.1518 0.3640 0.27
H 1.0439 -2.2954 0.2936 0.32
H 1.4544 -1.0101 1.4222 0.33
H 1.4695 -0.7071 -0.4206 0.15
H -0.9001 1.8467 0.5220 0.21
H 0.2931 1.1826 -0.7003 -0.29
H 0.7207 1.2485 1.0659 0.02
C 1.4728 1.3837 -3.5025 0.23
O 0.7207 0.6621 -2.8887 -0.62
N 1.4220 1.5634 -4.8197 0.30
C 2.3451 2.4535 -5.5670 -0.91
C 0.5194 0.7499 -5.6129 -0.99
H 2.1967 1.9977 -2.9748 0.09
H 1.8883 3.4044 -5.9086 0.29
H 2.6863 1.9218 -6.4646 0.31
H 3.1112 2.7382 -4.8644 0.30
H -0.0982 0.2747 -4.8412 0.21
H -0.0850 1.3961 -6.2561 0.37
H 1.0874 -0.0003 -6.1564 0.32
C 0.0183 -4.7584 -3.9405 -0.02
O -0.9860 -4.4917 -3.2933 -0.55
N 1.0247 -3.8445 -4.1806 0.32
C 2.1620 -4.0588 -5.0442 -1.05
C 0.9862 -2.5389 -3.6113 -0.57
H 0.0279 -5.6234 -4.6116 0.38
H 3.1030 -3.8294 -4.5193 0.33
H 2.1397 -3.3644 -5.9058 0.31
H 2.3015 -5.0654 -5.4052 0.40
H 0.0661 -2.4756 -3.0377 0.30
H 1.8762 -2.3433 -2.9821 0.22
H 0.9947 -1.7570 -4.4066 -0.10
```

---

Record 2
A 8-piece molecular cluster, C22H62N2O8 overall in a non-equilibrium geometry. Source: the Open Molecules 2025 dataset; level of theory: ωB97M-V/def2-TZVPD.

ΔE to the lowest compared entry with this formula, charge and spin   143.8 kJ/mol
LUMO   0.019 Eh
SMILES   COC[C@H](C)N.COC[C@H](C)N.CC(C)O.CC(C)O.CCO.CCO.CCO.CCO
Orbital gap   9.944 eV

```
94
Properties=species:S:1:pos:R:3:mulliken_charge:R:1
C -20.1798 4.9307 0.5224 -0.47
O -21.0705 5.9153 -0.0827 -0.45
C -21.6231 6.7408 0.8887 -0.49
C -22.9571 6.1979 1.4580 0.28